absolute value
the distance between a given number and 0 on a number line
Addition Rule
the principle that allows for the calculation of the probability of two or more mutually exclusive events occurring
alternate exterior angles
two angles lying on opposite sides of a transversal and in area outside of the lines intersecting the transversal; if the lines are parallel, then these two angles are congruent
alternate interior angles
two angles lying on opposite sides of a transversal and in the area between the lines intersecting the transversal; if the lines are parallel, then these two angles are congruent
angle-angle criterion
if two pairs of corresponding angles between two triangles are congruent, then the two triangles are similar
the measure, in square units, of the interior region of a 2-dimensional figure or the surface of a 3-dimensional figure
a relationship between two sets of data
the baseline for one direction in a coordinate system
bar graph
a graph that uses either vertical or horizontal bars to display countable data
the non-lateral faces of a prism, pyramid, or cylinder
the tendency for a survey to overestimate or underestimate a characteristic of the population
bivariate data
a set of data for two variables that are usually related
box-and-whisker plot
a graphic method for showing a summary of data using the five-number summary of data: median, lower quartile, upper quartile, maximum, and minimum
Cartesian Coordinate Plane
a four-quadrant coordinate grid with two intersecting axes
Each axis indicates a direction from a central point called the origin.
categorical data
types of data that can be divided into groups
For example, months or color are categorical. River height or elapsed time is not.
center of dilation
a coordinate point that serves as the focal point for generating a dilation
central tendency
a measure used to describe the central clustering of a set of data (e.g., mean, mode, median)
circle graph
a graphical display that divides a circle with radii into sectors that proportionally represent the parts to the total set of data
the distance around the edge of a circle
a characteristic of a data set that occurs when data values seem to be gathered around a particular value
coinciding lines
lines which are exactly the same line and fit on top of each other; the solution is a false statement without variables
complementary events
two or more mutually exclusive events that are the only possible outcomes
The sum of the probabilities of complementary events is 1.
compound event
a combination of two or more simple events
a 3-dimensional figure containing one circular base and a curved lateral surface that rises to one point opposite the base, which is called the vertex of the cone
congruence transformation
a transformation in which the image is congruent to the pre-image
consecutive exterior angles
two angles lying on the same side of the transversal outside of the lines intersecting the transversal; if the lines are parallel, then these two angles are supplementary
consecutive interior angles
two angles lying on the same side of a transversal and in the interior region of the lines intersecting the transversal; if the lines are parallel, then these two angles are supplementary
consecutive numbers
numbers that are next to each other in counting order
Examples: 1 and 2 are consecutive, -5 and -6 are consecutive, 10023 and 10024 are consecutive.  4 and 6 are not consecutive.
consistent system
a system of linear equations that has one solution or infinite solutions
continuous data
data where all numbers between any two data values are included in the solution
coordinate plane
a plane generated with a horizontal, or x, axis and a vertical, or y, axis that is used to identify the location of specific points
corresponding angles
two angles lying in the same direction from the intersection point of the transversal and each line intersected by the transversal; if the lines are parallel, then these angles are congruent
a 3-dimensional figure containing two parallel, congruent bases that are circles, which are connected by a curved lateral surface
dependent events
two or more events in which the outcome of the first event affects the outcome of the following event(s)
dependent system
a system of linear equations that has infinitely many solutions
dependent variable
the output variable of a relationship
a transformation that generates an enlargement or a reduction
discrete data
data that involve only specific values
the segment formed by the intersection of two faces in a 3-dimensional figure
a dilation of a figure that results in a larger figure; an enlargement uses a scale factor that is greater than 1
experimental probability
the ratio of the number of times an event occurs to the total number of trials
exponential decay
as the independent variable increases, the dependent variable decreases exponentially
Exponential decay is the half-life of a radioactive element.
exterior angle
an angle between an extended side of a triangle or other polygon at one vertex and the remaining side of the triangle or other polygon at the same vertex
a polygonal region that forms one planar surface of a 3-dimensional figure
the number of data items in an interval
frequency table
a table that shows how often a number, item, or range of numbers appears in a set of data
a graphical display that shows frequencies as bars
A histogram is a graphical display that shows how many data values fall into a certain interval. The width of the bar represents the interval, while the height indicates the number of data items, or frequency, in that interval.
the side of a right triangle that is opposite the right angle; also the longest side of a right triangle
a figure from a transformation
independent events
two or more events in which the outcome of the first event does not affect the outcome of the following event(s)
the set of numbers that includes the positive and negative values of all the whole numbers
Examples: -3, 0, 6, and -105 are all integers.  1.3 and -2.5 are not whole numbers.
interior angle
an angle located inside a triangle or other polygon, one at each vertex
interquartile range
a measure of variability of a data set; the difference between the first quartile and the third quartile in a data set
a continuous set of data or points
intersecting lines
lines which cross at one point
irrational number
a real number that cannot be expressed as a ratio of two integers; includes square roots of numbers that are not perfect squares and numbers such as π or e
lateral face
face of a 3-dimensional figure that is adjacent to a base
lateral surface area
the sum of the areas of the lateral faces or surfaces of a 3-dimensional figure
Law of Large Numbers
for experimental situations, the actual results will become closer to the theoretical results with a sufficiently large number of events
leading coefficient
the numerical coefficient of the variable with the largest power
leg of a right triangle
one of the two sides that forms the right angle in a right triangle
line graph
a graphical display that shows data values as points that are connected with line segments
Line graphs are used to show changes in variables over time.
line plot
a graphical display of data showing frequency of data on a number line
lower quartile
the boundary point separating the bottom quarter of a data set from the remaining three-quarters of the data set when the data is ordered from least to greatest
The lower quartile is also called the first quartile.
a mathematical representation of the typical value of a set of numbers, computed as the sum of the numbers in the set divided by the count of all the numbers in the set
This is commonly refered to as the "average."
mean absolute deviation
the average distance of each data value from the mean
The MAD is a gauge of “on average” how different the data values are from the mean value.
the middle value of a set of numbers when the numbers are arranged from least to greatest
The median is the mean of the two middle numbers when the set has an even amount of numbers.
the most frequent value of a set of numbers
Multiplication Rule
the principle that allows for the calculation of the probability of two or more mutually exclusive events occuring at the same time
mutually exclusive events
two or more events that cannot happen at the same time
negative linear association
a relationship between two sets of data such that as the numbers in one set increases, the numbers in the other set decreases at an almost constant rate
negative trend
a relationship between two sets of data such that as the numbers in one set increases, the numbers in the other set decrease
2-dimensional representation of a 3-dimensional figure in which all faces or surfaces are cut apart and laid flat
non-congruence transformation
a transformation in which the image is not congruent to the pre-image
non-linear association
a relationship between two sets of data such that as the numbers in one set increases, the numbers in the other set change in a non-linear but predictable way (e.g., along a curve)
ordered pair
a number pair written in (x, y) form, where x represents the input value, and y represents the output value
the point of intersection of the axes in a coordinate system
The ordered pair for this point is written as (0,0).
sum of the lengths of the edges of a polygon
point of intersection
the point at which two intersecting lines cross; the coordinates of the point of intersection represent the solutions to the two linear equations represented by the lines
a group that is being surveyed, studied, or described using data
positive linear association
a relationship between two sets of data such that as the numbers in one set increases, the numbers in the other set also increases at an almost constant rate
positive trend
a relationship between two sets of data such that as the numbers in one set increases, the numbers in the other set also increase
the original image before a transformation
a 3-dimensional figure containing two parallel, congruent bases which are polygons and are connected by faces that are parallelograms
the chance of an event occurring
The probability of an event is equal to the number of favorable outcomes divided by the number of possible outcomes.
an equation showing two ratios that are equivalent
a 3-dimensional figure containing one polygonal base and lateral faces adjoining the base that are triangles meeting at one point opposite the base, which is called the vertex of the pyramid
Pythagorean Theorem
the relationship between the lengths of the legs of a right triangle and the length of the hypotenuse of a right triangle: a2 + b2 = c2
a grouping of data into quarters, when the data is ordered from least to greatest
random sample
a selected group that is chosen randomly from the population
Every member of the population has an equal chance of being selected for a random sample.
a measure of variability of a data set; the difference between the maximum and minimum values in a data set
a comparison between two different things
rational numbers
the set of numbers that can be written as one integer divided by another
Examples: 1/2, -3/-4, 3, and 0.2 are all rational numbers. π and √2 are not rational numbers.
a dilation of a figure that results in a smaller figure; a reduction uses a scale factor that is between 0 and 1
a congruence transformation that generates a mirror image of an object, without changing its size or shape
response bias
survey bias that results from creating a survey that is likely to create a particular response from the participants, including asking of leading questions or social desirability of responses
a portion of the group that is being surveyed, studied, or described
scale factor
a ratio between two sets of measurements
a graph consisting of points that demonstrates the relationship between two variables
selection bias
survey bias that results from the way that the sample is constructed, such as a sample that is not representative of the entire population
similar figures
figures that have the same shape, but not necessarily the same size; corresponding sides of similar figures are proportional
similar triangles
triangles that have the same shape, but not necessarily the same size; corresponding sides of similar triangles are proportional and corresponding angles of similar triangles are congruent
simple event
one action that occurs and is described using a probability
the difference in output values divided by the difference in input values
slope-intercept form
the y = mx + b form of a linear equation, where m is the slope and b is the y-intercept
a 3-dimensional figure in which all points on the figure are equidistant from a center point
stem and leaf plot
a frequency distribution made by arranging data
surface area
the number of square units it takes to completely cover a surface
theoretical probability
the ratio of the number of favorable outcomes to the number of total possible outcomes
total surface area
the sum of the areas of all faces or surfaces of a 3-dimensional figure
a congruence transformation that moves an object, without changing its size, shape, or orientation
a line that intersects two or more lines, usually a line intersecting two or more parallel lines
trend line
a line that can be used to approximate data having a linear association
unit rate
a ratio in which the denominator is 1; a unit rate compares two quantities in such a way that one quantity is compared to 1 whole unit of the second quantity
upper quartile
the boundary point separating the top quarter of a data set from the remaining three-quarters
a set of measures used to describe how spread out a data set is (e.g., range)
Venn diagram
a circular display that pictures unions and intersections of sets
**Data records that have nothing to do with the entry:**
........
<i>
The following is a DFT calculation (the ωB97M-V functional and the def2-TZVPD basis) of 5 unconnected molecules or ions with the total composition CH12O5.

Output
Kohn-Sham gap   10.722 eV
2S+1   1
Total charge   0
SMILES string   CO.O.O.O.O
Lowest unoccupied orbital energy   0.4 eV
HOMO level   -10.307 eV

```
18
Properties=species:S:1:pos:R:3:lowdin_charge:R:1
C 0.189 -0.124 2.502 -0.056
O -0.485 -0.810 1.318 -0.169
H 1.194 0.191 2.224 0.071
H -0.410 0.706 2.569 0.049
H 0.226 -0.817 3.270 0.052
H -0.475 -1.788 1.366 0.071
O -0.797 0.293 -2.043 -0.113
H 0.109 0.623 -2.334 0.062
H -0.529 -0.672 -2.000 0.065
O 1.276 1.297 -0.485 -0.123
H 0.430 0.957 -0.050 0.035
H 1.291 2.137 0.079 0.077
O 1.757 -2.709 -0.671 -0.113
H 2.749 -2.444 -0.990 0.126
H 1.753 -3.505 -1.190 -0.001
O -2.638 2.408 -0.814 -0.131
H -2.570 1.437 -1.138 0.052
H -3.070 2.820 -1.610 0.046
```

=====

<ii>
The following is a DFT calculation (the ωB97M-V functional and the def2-TZVPD basis) of 5 unconnected molecules or ions with the total composition CH12O5.

Output
Kohn-Sham gap   10.913 eV
2S+1   1
Total charge   0
SMILES string   CO.O.O.O.O
Lowest unoccupied orbital energy   0.6 eV
HOMO level   -10.327 eV

```
18
Properties=species:S:1:pos:R:3:lowdin_charge:R:1
C 0.791 0.418 -0.127 -0.143
O 0.117 -0.722 0.394 -0.150
H 1.370 0.869 0.757 0.105
H 0.100 1.035 -0.703 0.060
H 1.590 0.088 -0.792 0.071
H -0.652 -0.569 0.945 0.075
O 2.421 5.367 -1.725 -0.066
H 1.926 5.723 -2.476 0.033
H 3.299 5.524 -2.100 0.033
O -1.540 -5.014 0.135 -0.060
H -1.623 -4.229 -0.419 0.037
H -1.846 -5.719 -0.448 0.034
O 0.013 -3.158 2.241 -0.075
H 0.252 -4.065 2.012 0.025
H 0.524 -2.685 1.565 0.012
O -1.656 2.975 -0.651 -0.056
H -2.345 3.508 -1.050 0.032
H -1.982 2.603 0.173 0.034
```

=====

Most stable to least stable: <ii>, <i>

~~~~~

Entry 1:
A cluster of 7 separate species, C24H52N2O12 in total at a distorted geometry. Source: the OMol25 dataset; level of theory: the ωB97M-V functional and the def2-TZVPD basis.

## Properties
SMILES string	C[N+](=O)[O-].C[N+](=O)[O-].c1ccccc1.COCCOC.COCCOC.COCCOC.COCCOC
E	-53270.66407	eV
spin multiplicity	1
energy above the lowest of the compared OMol25 structures with the same formula, charge and spin	0.0	kcal/mol
HOMO level	-9.128	eV

Each line ends with the Löwdin charge.
Positions of all 90 atoms, in Å:
C (0.102641, 6.206269, 2.884296)  0.048
N (0.244663, 4.732243, 2.985724)  -0.435
O (0.609710, 4.172141, 1.965245)  0.055
O (-0.019156, 4.167676, 4.016417)  0.079
H (0.075519, 6.497123, 1.840930)  0.093
H (0.973187, 6.673496, 3.337996)  0.104
H (-0.831330, 6.486386, 3.363713)  0.100
C (-0.456341, 1.179158, 0.484847)  0.042
N (-0.354168, -0.272596, 0.746582)  -0.411
O (0.005312, -0.651658, 1.843852)  0.066
O (-0.560333, -1.009754, -0.196514)  0.042
H (0.117063, 1.763697, 1.198714)  0.079
H (-1.486066, 1.516974, 0.555387)  0.090
H (-0.049119, 1.327286, -0.512098)  0.082
C (4.537717, 0.510613, 0.554117)  -0.089
C (3.262646, -0.033157, 0.511193)  -0.100
........
vertex of an angle
the point where two line segments, rays or lines meet to form an angle
vertex of a cone
the tip of a cone where the curved lateral surface of the cone comes to a point
vertex of a pyramid
the point on a pyramid at which all of the lateral faces meet
vertex (3-dimensional figure)
a point where two or more edges in a 3-dimensional figure meet
a measure of the amount of space an object takes up
whole numbers
the set of numbers that includes 0 and the positive counting numbers
Examples: 0, 6, 103, and 42 are all whole numbers.  1.3 and -2.5 are not whole numbers.
the point(s) where the function crosses the y-axis